_Exercise_
Please set down everything further down word for word.

_Data_
/*
Calculated powder diffractogram
Compound: Dy2HoAgC
Radiation: Cu Kα, 1.54184 Å
Structure: a structure optimized by DFT (GGA-PBE)
Intensities are scaled so that the largest is 100.

Unit cell a=4.909 b=4.909 c=4.841 alpha=90.00 beta=90.00 gamma=90.00
Element x y z (fractional)
Dy 0.000 0.500 0.000
Dy 0.500 0.000 0.000
Ho 0.000 0.000 0.500
Ag 0.500 0.500 0.500
C 0.000 0.000 0.000

Peak list (10 most intense, 2θ = 10–80°, in order of falling intensity)
- (1 1 1), 2.821 Å, 2θ 31.72, intensity 100
- (2 0 0), 2.454 Å, 2θ 36.61, intensity 37
- (3 1 1), 1.478 Å, 2θ 62.87, intensity 28
- (2 0 2), 1.723 Å, 2θ 53.15, intensity 25
- (0 0 2), 2.420 Å, 2θ 37.15, intensity 18
- (1 1 3), 1.463 Å, 2θ 63.59, intensity 14
- (2 2 0), 1.735 Å, 2θ 52.75, intensity 13
- (2 2 2), 1.410 Å, 2θ 66.27, intensity 13
- (4 0 0), 1.227 Å, 2θ 77.84, intensity 4
- (1 0 0), 4.909 Å, 2θ 18.07, intensity 2
*/

_Here it is_
Calculated powder diffractogram
Compound: Dy2HoAgC
Radiation: Cu Kα, 1.54184 Å
Structure: a structure optimized by DFT (GGA-PBE)
Intensities are scaled so that the largest is 100.

Unit cell a=4.909 b=4.909 c=4.841 alpha=90.00 beta=90.00 gamma=90.00
Element x y z (fractional)
Dy 0.000 0.500 0.000
Dy 0.500 0.000 0.000
Ho 0.000 0.000 0.500
Ag 0.500 0.500 0.500
C 0.000 0.000 0.000

Peak list (10 most intense, 2θ = 10–80°, in order of falling intensity)
- (1 1 1), 2.821 Å, 2θ 31.72, intensity 100
- (2 0 0), 2.454 Å, 2θ 36.61, intensity 37
- (3 1 1), 1.478 Å, 2θ 62.87, intensity 28
- (2 0 2), 1.723 Å, 2θ 53.15, intensity 25
- (0 0 2), 2.420 Å, 2θ 37.15, intensity 18
- (1 1 3), 1.463 Å, 2θ 63.59, intensity 14
- (2 2 0), 1.735 Å, 2θ 52.75, intensity 13
- (2 2 2), 1.410 Å, 2θ 66.27, intensity 13
- (4 0 0), 1.227 Å, 2θ 77.84, intensity 4
- (1 0 0), 4.909 Å, 2θ 18.07, intensity 2